Check out upcoming Youth Channel programming!

It’s been a difficult week for New Yorkers, but our youth are strong and we know they’ll continue to be bold in the face of struggle and hardship. Next week on The Youth Channel, watch programming that features outspoken young people who are taking charge of their own lives.

Entry 1:
C4H7ClNO | ωB97M-V/def2-TZVPD

XYZ file:
```
14
Properties=species:S:1:pos:R:3:forces:R:3
C 3.3766 -0.7292 0.1302 -1.22 -3.20 0.89
C -0.8331 1.2628 -0.5476 -3.57 -1.93 0.58
C -0.7872 0.8374 0.9107 4.16 1.20 0.11
C -0.3703 -0.1138 -0.1396 -0.42 2.43 1.69
N -1.0404 -1.3748 -0.4132 3.60 -1.59 0.49
O 2.2412 -0.9418 0.3603 -0.26 0.47 -0.20
Cl 4.3137 0.5050 -0.2492 1.40 2.63 -0.74
H -1.9239 1.4404 -0.8162 1.60 -0.43 -0.53
H -0.1597 1.9949 -0.8278 1.29 1.14 -0.75
H 0.0080 1.4415 1.4669 -0.79 -1.37 -0.68
H -1.6136 0.7686 1.5259 -1.99 -0.53 0.78
H -0.5734 -2.2311 0.0680 -0.88 1.92 -0.04
H -0.6315 -1.5271 -1.3471 -2.02 -0.37 -0.63
H -2.0063 -1.3328 -0.1214 -0.89 -0.37 -0.97
```
Positions in Å, forces in eV/Å.

Calculated values
- LUMO energy (spin up / spin down): -3.674 / -5.181 eV
- Relative energy (zero: lowest compared OMol25 entry of this formula, charge and spin): 113.9 kcal/mol
- Charge: +1
- Electronic energy: -746.3287 a.u.
- HOMO-LUMO gap (spin up / spin down): 10.2 / 6.4 eV
- Max |F|: 0.08417 hartree/bohr



Entry 2:
C4H7ClO | ωB97M-V/def2-TZVPD

XYZ file:
```
13
Properties=species:S:1:pos:R:3:forces:R:3
O -1.6674 0.2267 1.4665 0.98 0.81 -0.41
C -0.3448 0.4025 0.8710 -1.49 -2.31 0.39
C 0.3777 -0.9569 0.7845 -0.06 0.92 -0.40
C -0.1938 -0.3175 -0.4414 -1.75 1.30 -0.62
C 0.6061 0.3015 -1.5777 -0.47 -2.81 -1.06
Cl 1.9056 1.3429 -0.9649 0.12 -0.13 -0.55
H -1.7789 0.9356 2.1143 -0.01 -0.27 -0.16
H 0.1045 1.3540 1.0688 0.45 0.08 0.06
H -0.1618 -1.8151 1.1673 0.06 0.21 0.15
H 1.4509 -0.9898 0.8360 0.28 -0.01 0.17
H -1.1804 -0.6454 -0.8624 0.99 -0.14 0.70
H -0.0788 0.8191 -2.2897 0.75 0.10 0.78
H 0.9611 -0.6577 -2.1722 0.15 2.24 0.95
```
Positions in Å, forces in eV/Å.

Calculated values
- SMILES: O[C@H]1C[C@@H]1CCl
- LUMO energy: 0.899 eV
- Relative energy (zero: lowest compared OMol25 entry of this formula, charge and spin): 37.4 kcal/mol
- Electronic energy: -691.9863 a.u.
- HOMO-LUMO gap: 10.3 eV
- Max |F|: 0.05906 hartree/bohr



Entry 3:
C4H7ClO | ωB97M-V/def2-TZVPD

XYZ file:
```
13
Properties=species:S:1:pos:R:3:forces:R:3
C -0.7680 1.7685 -0.3978 -3.61 -0.29 1.45
C 0.0791 0.6943 0.2187 -2.00 2.37 -0.09
O 0.7833 1.1600 1.0720 1.78 -1.53 0.75
C -0.2468 -0.7640 0.0199 2.25 0.29 1.26
C 1.0289 -1.5300 0.2560 -0.75 -1.35 -0.91
Cl -0.8995 -1.1789 -1.5513 -0.48 0.00 -0.03
H -1.7131 1.4252 -0.8790 1.05 0.16 -0.40
H -0.2672 2.5460 -0.8974 0.79 0.61 -0.98
H -1.2143 2.2872 0.5231 0.79 -0.57 -1.06
H -0.8037 -1.0869 0.8892 -1.29 0.26 -0.27
H 1.6199 -1.5356 -0.5981 1.16 0.35 -1.85
H 0.7284 -2.5534 0.3177 0.08 -0.90 0.61
H 1.6731 -1.2325 1.0268 0.23 0.60 1.52
```
Positions in Å, forces in eV/Å.

Calculated values
- SMILES: CC(=O)[C@H](C)Cl
- LUMO energy: 0.636 eV
- Relative energy (zero: lowest compared OMol25 entry of this formula, charge and spin): 23.4 kcal/mol
- Electronic energy: -692.0087 a.u.
- HOMO-LUMO gap: 10.4 eV
- Max |F|: 0.07591 hartree/bohr



Entry 4:
C4H7ClO | ωB97M-V/def2-TZVPD

XYZ file:
```
13
**End of the records of molecules:**

Watch “YC Power Hour” and “The Spotlight” for a youth take on societal issues, watch “We Are Here” and “Bridging the Gap” for stories on sexuality and gender, add some sci fi to your week with AMOS, and “NIGHTCAP” for an inspiring story about a young filmmaker.

The Youth Channel airs programming every weeknight from 6-7pm on MNN4 (FiOS 36, RCN 85, Spectrum 67 & 1998) and MNNHD (Spectrum 1993). To learn about MNN’s Youth Media Center and the work they produce, click here.

Check out the upcoming schedule below:


Monday, November 6
YC Power Hour

The YC Power Hour is a creative, youth-driven program that covers news, entertainment, and current trends within NYC and the world while keeping a light-hearted down to earth tone.


Tuesday, November 7
The Spotlight

On this episode of "The Spotlight," guest hosts Simone Dixon and Maximilian Mejia discuss Donald Trump, Jr. and Starbucks. The show wraps up with a performance by pop singer/songwriter, Laura Rizzotto.

Here is 2 unconnected molecules or ions with the total composition C4H7NO at a distorted geometry from OMol25. Energies are from wB97M-V/def2-TZVPD.

```
! wB97M-V def2-TZVPD RIJCOSX def2/J DEFGRID3
* xyz 0 1
C 1.61 -0.50 0.53
C 0.35 -0.75 -0.29
C -0.96 -0.34 0.31
N -1.93 0.02 -0.43
C -0.48 2.30 -1.01
O -1.40 2.89 -1.31
H 1.95 0.54 0.49
H 1.46 -0.75 1.59
H 2.42 -1.13 0.16
H 0.43 -0.31 -1.29
H -1.04 -0.45 1.40
H 0.21 -1.83 -0.42
H -2.78 0.19 0.12
*
```

Frontier orbital gap   11.149 eV
Energy relative to the best compared isomer or geometry (same formula, charge and spin)   1.483 eV
Electronic energy   -286.5772 Ha

---

Here is 5 unconnected molecules or ions with the total composition C41H74Cl2N6O9P at a distorted geometry from OMol25. Energies are from wB97M-V/def2-TZVPD.

```
! wB97M-V def2-TZVPD RIJCOSX def2/J DEFGRID3
* xyz 1 1
C 5.41 -0.65 0.39
C 5.09 -0.36 -1.07
O 4.74 1.01 -1.19
C 4.27 1.34 -2.47
C 3.25 2.45 -2.38
O 2.07 2.09 -1.68
C 1.19 1.29 -2.45
C 1.27 -0.17 -2.00
O -0.03 -0.74 -1.82
C -0.53 -1.32 -3.00
C -0.87 -2.82 -2.94
P 0.66 -3.69 -2.35
N 1.76 -3.45 -3.42
O 0.35 -5.25 -2.11
O 1.11 -3.06 -0.98
C -0.93 -3.19 -4.46
C -2.32 -2.72 -4.88
O -2.69 -3.28 -6.10
N -3.16 -3.30 -3.76
Cl -3.40 -5.03 -4.23
C -4.59 -2.78 -3.63
C -4.75 -1.31 -4.00
C -5.83 -0.62 -3.15
C -7.17 -0.67 -3.90
C -5.43 0.83 -2.79
C -5.65 1.10 -1.30
C -7.10 1.09 -0.95
C -7.75 0.21 -0.18
C -9.19 0.49 0.20
C -7.17 -1.08 0.33
C -2.31 -3.26 -2.48
Cl -2.91 -1.92 -1.42
C -2.55 -4.51 -1.64
C -2.23 -4.40 -0.17
O -3.10 -4.20 0.67
O -0.92 -4.62 0.17
C -0.53 -4.02 1.37
C 0.06 -4.96 2.36
O -0.65 -2.83 1.53
H 6.47 -0.71 0.57
H 4.95 -1.57 0.73
H 5.03 0.16 1.00
H 5.95 -0.57 -1.70
H 4.25 -0.97 -1.39
H 3.88 0.47 -2.99
H 5.09 1.73 -3.09
H 3.70 3.27 -1.83
H 3.04 2.81 -3.38
H 1.43 1.37 -3.51
H 0.19 1.66 -2.26
H 1.74 -0.16 -1.02
H 1.90 -0.79 -2.64
H 0.21 -1.21 -3.78
H -1.40 -0.73 -3.31
H 2.13 -4.31 -3.81
H 0.68 -5.78 -2.84
H 0.39 -2.59 -0.52
H -0.16 -2.70 -5.04
H -0.77 -4.26 -4.58
H -2.36 -1.64 -4.95
H -2.06 -2.97 -6.76
H -4.98 -3.03 -2.65
H -5.17 -3.37 -4.33
H -3.81 -0.80 -3.82
H -4.98 -1.24 -5.05
H -5.92 -1.15 -2.21
H -7.98 -0.60 -3.18
H -7.27 0.18 -4.57
H -7.24 -1.59 -4.48
H -6.02 1.53 -3.38
H -4.38 1.01 -3.04
H -5.19 2.04 -1.03
H -5.13 0.33 -0.75
H -7.69 1.91 -1.35
H -9.67 -0.40 0.58
H -9.72 0.83 -0.69
H -9.20 1.27 0.95
H -7.73 -1.48 1.17
H -7.26 -1.83 -0.46
H -6.12 -1.01 0.58
H -3.62 -4.70 -1.65
H -2.07 -5.40 -2.05
H -0.68 -5.43 2.98
H 0.55 -5.75 1.80
H 0.84 -4.48 2.92
C 3.58 5.33 2.82
C 4.24 4.89 1.52
C 4.11 3.38 1.27
C 4.75 2.61 2.33
N 5.26 2.01 3.17
H 4.05 4.86 3.69
H 3.67 6.40 2.95
H 2.51 5.07 2.83
H 5.29 5.17 1.54
H 3.78 5.42 0.69
H 4.58 3.10 0.33
H 3.06 3.08 1.21
C -1.34 1.06 0.47
C -1.28 1.86 1.77
C -2.60 1.85 2.55
C -3.68 2.42 1.75
N -4.51 2.89 1.11
H -2.08 1.48 -0.21
H -0.38 1.08 -0.03
H -1.61 0.02 0.67
H -1.00 2.89 1.54
H -0.49 1.46 2.41
H -2.51 2.42 3.47
H -2.87 0.82 2.81
C 2.59 -0.39 5.01
C 3.69 -1.40 4.74
C 3.15 -2.77 4.32
C 2.30 -3.33 5.38
N 1.64 -3.76 6.22


Wednesday, November 8


We Are Here

LGBTQ youth take back the media and share experiences that have empowered them to speak up and send a message of positivity to the youth of color questioning their sexuality.
Produced during MNN's Youth Media Center Summer Program 2016.


Bridging the Gap

Looking back at our experiences and sharing them is the bridge that forms between our generations. “Bridging The Gap” is a piece dedicated to finding an understanding between the young and old in the LGBTQ community.

Thursday, November 9

An extraordinarily lonely teenage boy develops superpowers that he cannot control and slowly becomes a species separate from the human race.

Friday, November 10

Next in NIGHTCAP’S new six-part Career Day series is another filmmaker, but she is representing all the women directors out there. Twenty three year old Brianna Abdullah started making movies in her teens and in a short span she has written and directed various short films including, “First Love”, “Clasp”, and “Wanna Fix A Flat?”

Her newest, “Bittersweet,” explores the woes of online dating from the male perspective. In this film, actor Amari Smith plays Aaron, who goes through some not so pretty hurdles in his quest for love. Tune in to see some scenes from the film and to get the goods from Brianna and Amari as they reveal some movie-in-the-making moments.